Exporting Clash Results Using First XML - Products from ENOVIA V5 database

This task explains how to export the Clash results in first XML format using data coming from ENOVIA database

Data records, as found in the file >
........
For Mn2SiPb, a structure optimized by DFT (PBE) gives the simulated powder diffractogram in this record (a wavelength of 1.5418 Å).

Crystal structure
Cell: 3.952 3.952 15.384 Å, 90.00 90.00 120.00°
Fractional coordinates of all 12 atoms:
Mn  0.000  0.000  0.000
Mn  0.000  0.000  0.238
Mn  0.333  0.667  0.667
Mn  0.333  0.667  0.904
Mn  0.667  0.333  0.333
Mn  0.667  0.333  0.571
Si  0.000  0.000  0.605
Si  0.333  0.667  0.272
Si  0.667  0.333  0.939
Pb  0.000  0.000  0.791
Pb  0.333  0.667  0.457
Pb  0.667  0.333  0.124

Most intense lines, 15 to 90 degrees two-theta, in order of falling intensity:
| 2θ/deg | Rel. int. |
| --- | --- |
| 26.68 | 100 |
| 39.38 | 99 |
| 35.10 | 98 |
| 28.54 | 84 |
| 45.92 | 83 |
| 59.04 | 50 |
| 17.29 | 29 |
| 73.21 | 29 |
| 62.06 | 26 |
| 80.55 | 25 |

For Rb2TlSe2, a structure optimized by DFT (PBE) gives the simulated powder diffractogram in this record (a wavelength of 1.5418 Å).

Crystal structure
Cell: 10.143 9.031 8.669 Å, 90.00 100.37 90.00°
Fractional coordinates of all 20 atoms:
Rb  0.075  0.226  0.025
Rb  0.075  0.274  0.525
Rb  0.318  0.648  0.937
Rb  0.318  0.852  0.437
Rb  0.682  0.148  0.563
Rb  0.682  0.352  0.063
Rb  0.925  0.726  0.475
Rb  0.925  0.774  0.975
Tl  0.381  0.081  0.850
Tl  0.381  0.419  0.350
Tl  0.619  0.581  0.650
Tl  0.619  0.919  0.150
Se  0.133  0.549  0.250
Se  0.133  0.951  0.750
Se  0.424  0.143  0.206
Se  0.424  0.357  0.706
Se  0.576  0.643  0.294
Se  0.576  0.857  0.794
Se  0.867  0.049  0.250
Se  0.867  0.451  0.750

Most intense lines, 15 to 90 degrees two-theta, in order of falling intensity:
| 2θ/deg | Rel. int. |
| --- | --- |
| 15.81 | 100 |
| 24.72 | 74 |
| 34.81 | 65 |
| 26.82 | 56 |
| 28.60 | 46 |
| 24.13 | 44 |
| 27.42 | 42 |
| 33.59 | 41 |
| 28.79 | 36 |
| 29.90 | 33 |

For SrCa5Mg, a structure optimized by DFT (PBE) gives the simulated powder diffractogram in this record (a wavelength of 1.5418 Å).

Crystal structure
Cell: 7.628 7.628 12.552 Å, 110.57 110.57 73.97°
Fractional coordinates of all 14 atoms:
Sr  0.063  0.937  0.750
Sr  0.937  0.063  0.250
Ca  0.151  0.405  0.748
Ca  0.258  0.509  0.505
Ca  0.350  0.650  0.250
Ca  0.405  0.151  0.248
Ca  0.491  0.742  0.995
Ca  0.509  0.258  0.005
Ca  0.595  0.849  0.752
Ca  0.650  0.350  0.750
Ca  0.742  0.491  0.495
Ca  0.849  0.595  0.252
Mg  0.000  0.500  0.000
Mg  0.500  0.000  0.500

Most intense lines, 15 to 90 degrees two-theta, in order of falling intensity:
| 2θ/deg | Rel. int. |
| --- | --- |
| 28.65 | 100 |
| 29.48 | 92 |
| 31.75 | 56 |
| 30.39 | 45 |
| 29.36 | 42 |
| 17.16 | 36 |
| 15.72 | 33 |
| 26.29 | 26 |
| 22.84 | 22 |
| 27.29 | 20 |

For HoTm3C8, a structure optimized by DFT (PBE) gives the simulated powder diffractogram in this record (a wavelength of 1.5418 Å).

Crystal structure
Cell: 6.273 6.273 5.994 Å, 114.94 114.94 101.06°
Fractional coordinates of all 12 atoms:
Ho  0.000  0.000  0.000
Tm  0.289  0.789  0.501
Tm  0.488  0.488  0.001
Tm  0.789  0.289  0.501
C  0.079  0.406  0.001
........
Here the article continues >

To do so, perform the following operations:

Have a DMU V5 session and an ENOVIA LCA session running

Establishing the DMU V5 / ENOVIA LCA Connection from DMU V5

[Next to the entry, the page also holds crystal structures]
____________
# 1
For Ba2NdMgCu3O7, a DFT-relaxed cell (PBE, the Materials Project) gives the simulated XRD peak list in this record (Cu Kα (λ = 1.5418 Å)).
Peak positions follow from Bragg's law for the DFT cell and can differ from measured ones.

Crystal structure
```
Ba2NdMgCu3O7
1.0
3.760 0.000 0.000
0.000 4.019 0.000
0.000 0.000 14.580
Ba Nd Mg Cu O
2 1 1 3 7
direct
0.000 0.000 0.000 Ba
0.000 0.000 0.311 Ba
0.000 0.000 0.569 Nd
0.000 0.500 0.814 Mg
0.500 0.500 0.149 Cu
0.500 0.500 0.447 Cu
0.500 0.500 0.675 Cu
0.000 0.500 0.103 O
0.000 0.500 0.474 O
0.000 0.500 0.681 O
0.500 0.000 0.456 O
0.500 0.000 0.671 O
0.500 0.500 0.282 O
0.500 0.500 0.881 O
```

Largest 8 diffraction maxima, by angle, 2θ = 10–90°:
2θ = 28.83°, rel. 763
2θ = 30.05°, rel. 430
2θ = 32.61°, rel. 1000
2θ = 33.18°, rel. 762
2θ = 34.26°, rel. 771
2θ = 37.62°, rel. 335
2θ = 45.12°, rel. 385
2θ = 55.37°, rel. 420

# 2
For HoGa3Os, a DFT-relaxed cell (PBE, the Materials Project) gives the simulated XRD peak list in this record (Cu Kα (λ = 1.5418 Å)).
Peak positions follow from Bragg's law for the DFT cell and can differ from measured ones.

Crystal structure
```
HoGa3Os
1.0
6.427 0.000 0.000
0.000 6.427 0.000
0.000 0.000 6.427
Ho Ga Os
3 9 3
direct
0.000 0.000 0.500 Ho
0.000 0.500 0.000 Ho
0.500 0.000 0.000 Ho
0.000 0.000 0.000 Ga
0.288 0.288 0.288 Ga
0.288 0.288 0.712 Ga
0.288 0.712 0.288 Ga
0.288 0.712 0.712 Ga
0.712 0.288 0.288 Ga
0.712 0.288 0.712 Ga
0.712 0.712 0.288 Ga
0.712 0.712 0.712 Ga
0.000 0.500 0.500 Os
0.500 0.000 0.500 Os
0.500 0.500 0.000 Os
```

Largest 8 diffraction maxima, by angle, 2θ = 10–90°:
2θ = 19.53°, rel. 139
2θ = 27.76°, rel. 183
2θ = 34.17°, rel. 112
2θ = 39.66°, rel. 1000
2θ = 44.58°, rel. 78
2θ = 57.34°, rel. 144
2θ = 64.88°, rel. 132
2θ = 71.98°, rel. 264

=====

1.
The following is a calculated powder X-ray diffraction pattern of Er4CoTe. It was derived from a GGA-PBE-relaxed structure, using a wavelength of 1.5418 Å.
No peak broadening, texture or thermal motion is included.

```
data_Er4CoTe
_space_group_name_H-M_alt 'P n m a'
_space_group_IT_number 62
_cell_length_a 8.1490
_cell_length_b 3.8446
_cell_length_c 19.2160
_cell_angle_alpha 90.00
_cell_angle_beta 90.00
_cell_angle_gamma 90.00
loop_
_space_group_symop_operation_xyz
'x,y,z'
'-x,-y,-z'
'-x+1/2,-y,z+1/2'
'x+1/2,y,-z+1/2'
'x+1/2,-y+1/2,-z+1/2'
'-x+1/2,y+1/2,z+1/2'
'-x,y+1/2,-z'
'x,-y+1/2,z'
loop_
_atom_site_label
_atom_site_type_symbol
_atom_site_fract_x
_atom_site_fract_y
_atom_site_fract_z
Er1 Er 0.0161 0.2500 0.0673
Er2 Er 0.0451 0.7500 0.2156
Er3 Er 0.1380 0.7500 0.6452
Er4 Er 0.1444 0.7500 0.4543
Co1 Co 0.2366 0.2500 0.5506
Te1 Te 0.2448 0.2500 0.3131
```

The 10 most intense peaks (5° ≤ 2θ ≤ 70°), in order of falling intensity:
- 31.77 deg, 2.817 Å, rel. 100, hkl 1 1 4
- 32.01 deg, 2.796 Å, rel. 69, hkl 2 0 5
- 35.01 deg, 2.563 Å, rel. 59, hkl 2 1 3
- 33.31 deg, 2.690 Å, rel. 40, hkl 3 0 1
- 47.29 deg, 1.922 Å, rel. 35, hkl 0 2 0
- 32.95 deg, 2.718 Å, rel. 33, hkl 0 1 5
____________
[So much for the crystal structures]

  1. Still in DMU V5, select Infrastructure -> Product Structure from the Start menu to launch the Product Structure workbench and establish the connection between DMU V5 and ENOVIA LCA.

  2. Display the ENOVIA toolbar by clicking Toolbars > ENOVIA LCA from the View menu.

  3. Click the Connect to ENOVIA LCA icon.


Customizing First XML Format Type Options

  1. In your CATIA session, select Tools > Options > Digital Mockup > DMU Space Analysis

  2. Clear the XML Export for clash process purpose check box in the DMU Clash - Process tab page.

  3. In the Data base repository filed, select an absolute path, for instance

  4. In the Style sheet location path, select an absolute path


  5. Set the remaining XML Export options accordingly, refer to DMU Clash - Process tab page (Tools > Options > Digital Mockup > DMU Space Analysis)

_Unrelated to this entry: crystal structures_
Theoretical XRD peak list of NiH12S2N2O10 for a wavelength of 1.5418 Å, from DFT lattice parameters and positions (PBE+U).
Lines closer than 0.1° are merged.

The 12 most intense peaks (2θ = 15–90°), in order of falling intensity:
d (Å)  I/Imax
4.655  100
3.504  73
4.727  66
3.257  42
3.519  36
5.405  34
2.872  34
3.054  27
2.698  25
2.997  25
3.380  17
1.834  15

Crystal structure
Cell lengths 6.532, 6.629, 6.851 Å; angles 89.15, 67.06, 69.35 degrees
Positions (direct):
Ni 0.000 0.000 0.000
H 0.182 0.297 0.828
H 0.208 0.291 0.048
H 0.236 0.698 0.187
H 0.245 0.928 0.241
H 0.276 0.669 0.674
H 0.277 0.907 0.593
H 0.723 0.093 0.407
H 0.724 0.331 0.326
H 0.755 0.072 0.759
H 0.764 0.302 0.813
H 0.792 0.709 0.952
H 0.818 0.703 0.172
S 0.396 0.273 0.356
S 0.604 0.727 0.644
N 0.304 0.807 0.706
N 0.696 0.193 0.294
O 0.124 0.253 0.971
O 0.150 0.857 0.207
O 0.269 0.401 0.570
O 0.355 0.400 0.188
O 0.361 0.067 0.349
O 0.639 0.933 0.651
O 0.645 0.600 0.812
O 0.731 0.599 0.430
O 0.850 0.143 0.793
O 0.876 0.747 0.029

----------

No. 1
# BiSe2O8
Computed XRD peak list, CuKα. Input: a crystal structure in Alexandria, relaxed with PBE.

Atomic structure:
```
data_BiSe2O8
_chemical_formula_sum 'Bi1 Se2 O8'
_symmetry_space_group_name_H-M 'P -3 m 1'
_symmetry_Int_Tables_number 164
_symmetry_space_group_name_Hall '-P 3 2"'
_cell_length_a 5.8671
_cell_length_b 5.8671
_cell_length_c 7.0590
_cell_angle_alpha 90.00
_cell_angle_beta 90.00
_cell_angle_gamma 120.00
loop_
_atom_site_label
_atom_site_type_symbol
_atom_site_fract_x
_atom_site_fract_y
_atom_site_fract_z
_atom_site_occupancy
Bi1 Bi 0.0000 0.0000 0.0000 1
Se1 Se 0.3333 0.6667 0.2795 1
O1 O 0.1770 0.3540 0.2030 1
O2 O 0.3333 0.6667 0.5140 1
```

Main lines, in order of rising 2θ (2θ = 10–90°):
12.5°, rel. 18.3, (0 0 1); 17.5°, rel. 12.1, (1 0 0); 21.5°, rel. 100.0, (0 1 1); 30.5°, rel. 32.9, (1 1 0); 30.8°, rel. 31.2, (1 0 2); 37.6°, rel. 14.8, (2 0 1); 42.3°, rel. 10.2, (1 0 3); 43.9°, rel. 18.1, (0 2 2); 49.2°, rel. 21.4, (1 2 1); 49.7°, rel. 10.3, (1 1 3); 54.4°, rel. 12.1, (2 1 2); 67.8°, rel. 8.0, (3 1 1)

No. 2
# Bi2SeO6
Computed XRD peak list, CuKα. Input: a crystal structure in Alexandria, relaxed with PBE.

Atomic structure:
```
data_Bi2SeO6
_chemical_formula_sum 'Bi8 Se4 O24'
_symmetry_space_group_name_H-M 'C m c e'
_symmetry_Int_Tables_number 64
_symmetry_space_group_name_Hall '-C 2ac 2'
_cell_length_a 5.364
_cell_length_b 16.210
_cell_length_c 5.372
_cell_angle_alpha 90.00
_cell_angle_beta 90.00
_cell_angle_gamma 90.00
loop_
_atom_site_label
_atom_site_type_symbol
_atom_site_fract_x
_atom_site_fract_y
_atom_site_fract_z
_atom_site_occupancy
Bi1 Bi 0.000 0.169 0.002 1
Se1 Se 0.000 0.000 0.500 1
O1 O 0.000 0.105 0.575 1
O2 O 0.250 0.034 0.250 1
O3 O 0.250 0.250 0.250 1
```
_The crystal structures stop here_

Loading Models from ENOVIA LCA Top

  1. In ENOVIA Home panel, select the Engineering Life Cycle folder and double-click the Product Class Editor bookmark. The Product Class View panel is displayed.

    To create a PRC, please refer to the appropriate ENOVIA LCA documentation.
  1. Right-click a Product Class Root (PRC) and select Open from the contextual menu.The PRC is opened in the Product Editor panel.

  2. Right the PRC and select Expand from the contextual menu to expand the product. All instances are displayed.

  3. Right-click the instance of your choice and select Send To > CATIA V5 As Assembly from the contextual menu. The document is displayed in your DMU V5 session.

Detecting Interferences and Exporting ResultsTop in First XML Format

  1. In DMU V5, switch to the DMU Space Analysis workbench (Start > Digital Mockup > DMU Space Analysis)

  2. Select Insert > Clash from the menu bar or click Clash in the DMU Space Analysis toolbar and run an interference check.

    The Check Clash dialog box expands to show the results. 

    The dialog box identifies the number of interferences detected along with the type. By default, results are organized by conflict in the List by Conflict tab. 

    Additional information is provided in the Check Clash dialog box to help you compare clash results with those already stored in ENOVIA LCA.

  3. Click Export As in the Check Clash dialog box to generate the XML file.

  4. Open your XML result file: